== Assignment ==
It remains to retype only the last part of the entries further down, starting with the line that has "2.498 1.204".

== Contents ==
- - -
(1)
A structure of composition C6H6BrN2. Source: the OMol25 dataset; level of theory: ωB97M-V with the def2-TZVPD basis set.

Each line ends with the natural charge from an NBO analysis.
Atoms and positions in Å:
C 1.879 1.247 -1.757  -0.083
C 1.157 1.011 -0.827  -0.114
C -1.173 -0.957 -0.613  0.277
C 0.139 -1.483 1.213  0.418
C 0.262 0.751 0.352  -0.167
C -1.132 0.559 -0.281  -0.318
N -0.632 -1.750 0.192  -0.466
N 0.687 -0.269 1.316  -0.475
Br -2.657 0.460 1.001  0.102
H 2.498 1.204 -2.601  0.260
H -1.677 -1.354 -1.522  0.251
H 0.262 -2.287 1.978  0.256
H 0.110 1.662 1.115  0.297
H -1.360 1.293 -1.140  0.312
H 1.639 -0.087 1.574  0.449

Properties
* LUMO energy: -0.218 Ha
* relative energy (zero: lowest compared OMol25 entry of this formula, charge and spin): 0.257 eV
* charge: +1
* maximum force: 3.697 eV Å⁻¹
* frontier orbital gap: 8.5 eV
* energy: -2915.3658 a.u.
* HOMO energy: -14.46 eV

(2)
A cluster of 10 separate species, ClH18O9 in total. Source: the OMol25 dataset; level of theory: ωB97M-V with the def2-TZVPD basis set.

Each line ends with the natural charge from an NBO analysis.
Atoms and positions in Å:
Cl -0.084 -0.128 0.462  -0.936
O 1.464 -2.993 0.546  -0.966
H 1.216 -2.093 0.265  0.485
H 1.589 -3.470 -0.281  0.465
O -2.403 -0.450 2.735  -0.960
H -2.525 -1.092 3.443  0.461
H -1.887 -0.915 2.054  0.495
O -0.870 -2.758 -1.698  -0.986
H -0.389 -2.213 -2.341  0.485
H -0.728 -2.242 -0.888  0.483
O 0.758 -0.697 -2.880  -0.974
H 0.246 -0.128 -3.471  0.485
H 0.759 -0.196 -2.046  0.493
O 0.905 3.165 -0.269  -0.958
H 1.345 2.435 0.191  0.497
H 1.606 3.798 -0.450  0.457
O 0.845 -0.649 3.550  -0.971
H -0.021 -0.221 3.594  0.474
H 0.992 -0.666 2.589  0.487
O -1.377 1.499 -2.191  -0.981
H -2.204 1.113 -1.873  0.479
H -0.741 1.185 -1.521  0.490
O 3.046 1.090 -0.099  -0.965
H 3.363 0.686 -0.913  0.471
H 2.556 0.382 0.350  0.494
O -2.885 1.810 0.449  -0.970
H -2.432 2.496 -0.058  0.470
H -2.144 1.254 0.750  0.494

Properties
* LUMO energy: 0.113 Ha
* relative energy (zero: lowest compared OMol25 entry of this formula, charge and spin): 0.108 eV
* charge: -1
* maximum force: 0.397 eV Å⁻¹
* frontier orbital gap: 9.9 eV
* energy: -1148.2930 a.u.
* HOMO energy: -6.87 eV

> Which of these has the lowest HOMO energy?

C6H6BrN2

> Which of these has the lowest charge?

ClH18O9

> Look up the relative energy (zero: lowest compared OMol25 entry of this formula, charge and spin) of the first one.

0.257 eV

> What is the charge in the second record?

-1

* * * * *

Computed, not measured: C22H34AsN3PtSSi2 as an isolated structure at a distorted geometry, with the ωB97M-V functional and the def2-TZVPD basis.

Properties
ΔE to the lowest compared entry with this formula, charge and spin: 177.34 kJ/mol
orbital gap: 6.29 eV
LUMO level: -0.7183 eV
HOMO: -7.0 eV

Each line ends with the Löwdin charge.
Element x y z (Å)
Pt (0.063, -0.267, 0.908)  0.596
N (-0.265, -4.342, 1.899)  0.194
C (-1.576, -4.225, 1.515)  -0.187
C (-2.603, -5.145, 1.411)  -0.013
C (-3.847, -4.662, 1.038)  -0.082
C (-4.050, -3.315, 0.748)  -0.083
C (-3.016, -2.399, 0.802)  -0.025
C (-1.768, -2.862, 1.200)  -0.241
N (-0.592, -2.191, 1.392)  -0.023
C (0.294, -3.085, 1.843)  -0.237
C (1.593, -2.722, 2.274)  -0.323
C (2.633, -3.532, 2.699)  -0.324
S (3.966, -2.571, 3.210)  1.034
C (3.041, -1.156, 2.813)  -0.423
N (1.874, -1.383, 2.346)  -0.017
H (0.178, -5.163, 2.269)  0.164
H (-2.438, -6.192, 1.616)  0.110
H (-4.679, -5.347, 0.975)  0.103
H (-5.038, -2.983, 0.465)  0.106
H (-3.161, -1.358, 0.553)  0.113
H (2.687, -4.601, 2.727)  0.066
H (3.438, -0.173, 2.968)  0.083
C (0.113, -1.768, -4.446)  -0.236
Si (-0.859, -1.414, -2.829)  0.242
C (-1.459, -3.140, -2.254)  -0.220
C (-2.388, -0.364, -3.314)  -0.213
As (0.792, -0.538, -1.377)  0.636
Si (0.879, 1.726, -2.117)  0.256
C (1.173, 1.808, -4.009)  -0.233
C (-0.683, 2.748, -1.676)  -0.215
C (2.438, 2.445, -1.278)  -0.238
H (-0.507, -2.236, -5.203)  0.022
H (0.950, -2.431, -4.243)  0.019
H (0.518, -0.855, -4.867)  -0.006
- - -

== Written answer ==
H 2.498 1.204 -2.601  0.260
H -1.677 -1.354 -1.522  0.251
H 0.262 -2.287 1.978  0.256
H 0.110 1.662 1.115  0.297
H -1.360 1.293 -1.140  0.312
H 1.639 -0.087 1.574  0.449

Properties
* LUMO energy: -0.218 Ha
* relative energy (zero: lowest compared OMol25 entry of this formula, charge and spin): 0.257 eV
* charge: +1
* maximum force: 3.697 eV Å⁻¹
* frontier orbital gap: 8.5 eV
* energy: -2915.3658 a.u.
* HOMO energy: -14.46 eV

(2)
A cluster of 10 separate species, ClH18O9 in total. Source: the OMol25 dataset; level of theory: ωB97M-V with the def2-TZVPD basis set.

Each line ends with the natural charge from an NBO analysis.
Atoms and positions in Å:
Cl -0.084 -0.128 0.462  -0.936
O 1.464 -2.993 0.546  -0.966
H 1.216 -2.093 0.265  0.485
H 1.589 -3.470 -0.281  0.465
O -2.403 -0.450 2.735  -0.960
H -2.525 -1.092 3.443  0.461
H -1.887 -0.915 2.054  0.495
O -0.870 -2.758 -1.698  -0.986
H -0.389 -2.213 -2.341  0.485
H -0.728 -2.242 -0.888  0.483
O 0.758 -0.697 -2.880  -0.974
H 0.246 -0.128 -3.471  0.485
H 0.759 -0.196 -2.046  0.493
O 0.905 3.165 -0.269  -0.958
H 1.345 2.435 0.191  0.497
H 1.606 3.798 -0.450  0.457
O 0.845 -0.649 3.550  -0.971
H -0.021 -0.221 3.594  0.474
H 0.992 -0.666 2.589  0.487
O -1.377 1.499 -2.191  -0.981
H -2.204 1.113 -1.873  0.479
H -0.741 1.185 -1.521  0.490
O 3.046 1.090 -0.099  -0.965
H 3.363 0.686 -0.913  0.471
H 2.556 0.382 0.350  0.494
O -2.885 1.810 0.449  -0.970
H -2.432 2.496 -0.058  0.470
H -2.144 1.254 0.750  0.494

Properties
* LUMO energy: 0.113 Ha
* relative energy (zero: lowest compared OMol25 entry of this formula, charge and spin): 0.108 eV
* charge: -1
* maximum force: 0.397 eV Å⁻¹
* frontier orbital gap: 9.9 eV
* energy: -1148.2930 a.u.
* HOMO energy: -6.87 eV

> Which of these has the lowest HOMO energy?

C6H6BrN2

> Which of these has the lowest charge?

ClH18O9

> Look up the relative energy (zero: lowest compared OMol25 entry of this formula, charge and spin) of the first one.

0.257 eV

> What is the charge in the second record?

-1

* * * * *

Computed, not measured: C22H34AsN3PtSSi2 as an isolated structure at a distorted geometry, with the ωB97M-V functional and the def2-TZVPD basis.

Properties
ΔE to the lowest compared entry with this formula, charge and spin: 177.34 kJ/mol
orbital gap: 6.29 eV
LUMO level: -0.7183 eV
HOMO: -7.0 eV

Each line ends with the Löwdin charge.
Element x y z (Å)
Pt (0.063, -0.267, 0.908)  0.596
N (-0.265, -4.342, 1.899)  0.194
C (-1.576, -4.225, 1.515)  -0.187
C (-2.603, -5.145, 1.411)  -0.013
C (-3.847, -4.662, 1.038)  -0.082
C (-4.050, -3.315, 0.748)  -0.083
C (-3.016, -2.399, 0.802)  -0.025
C (-1.768, -2.862, 1.200)  -0.241
N (-0.592, -2.191, 1.392)  -0.023
C (0.294, -3.085, 1.843)  -0.237
C (1.593, -2.722, 2.274)  -0.323
C (2.633, -3.532, 2.699)  -0.324
S (3.966, -2.571, 3.210)  1.034
C (3.041, -1.156, 2.813)  -0.423
N (1.874, -1.383, 2.346)  -0.017
H (0.178, -5.163, 2.269)  0.164
H (-2.438, -6.192, 1.616)  0.110
H (-4.679, -5.347, 0.975)  0.103
H (-5.038, -2.983, 0.465)  0.106
H (-3.161, -1.358, 0.553)  0.113
H (2.687, -4.601, 2.727)  0.066
H (3.438, -0.173, 2.968)  0.083
C (0.113, -1.768, -4.446)  -0.236
Si (-0.859, -1.414, -2.829)  0.242
C (-1.459, -3.140, -2.254)  -0.220
C (-2.388, -0.364, -3.314)  -0.213
As (0.792, -0.538, -1.377)  0.636
Si (0.879, 1.726, -2.117)  0.256
C (1.173, 1.808, -4.009)  -0.233
C (-0.683, 2.748, -1.676)  -0.215
C (2.438, 2.445, -1.278)  -0.238
H (-0.507, -2.236, -5.203)  0.022
H (0.950, -2.431, -4.243)  0.019
H (0.518, -0.855, -4.867)  -0.006